[Given]
=====
Entry 1:
Sm6TlFe2: relaxed, PBE-GGA.

Cell lengths 9.6662, 9.9744, 10.2372 Å; angles 90.00, 90.00, 90.00 degrees
Space group Immm (No. 71)
One atom of each set of equivalent atoms:
Sm 0.0000 0.2154 0.2251 [8 per cell]
Sm 0.2026 0.5000 0.1888 [8 per cell]
Sm 0.2090 0.3116 0.5000 [8 per cell]
Tl 0.0000 0.0000 0.0000 [2 per cell]
Tl 0.0000 0.0000 0.5000 [2 per cell]
Fe 0.0000 0.3900 0.0000 [4 per cell]
Fe 0.0000 0.5000 0.3938 [4 per cell]

Output
The calculation puts the formation energy at -0.08 eV per atom. As for the total energy: -5.366 eV/atom. The total magnetic moment is 1.8 μB per formula unit.

Entry 2:
Sm2TmAg6: relaxed, PBE-GGA.

Cell lengths 8.2808, 8.2808, 3.4526 Å; angles 90.00, 90.00, 120.00 degrees
Space group P6/mmm (No. 191)
One atom of each set of equivalent atoms:
Sm 0.3333 0.6667 0.0000 [2 per cell]
Tm 0.0000 0.0000 0.0000 [1 per cell]
Ag 0.0000 0.3311 0.5000 [6 per cell]

Output
The calculation puts the formation energy at -0.25 eV per atom. As for the total energy: -3.692 eV/atom. The total magnetic moment is 0.0 μB per formula unit.

Entry 3:
Cs5As2Se6: relaxed, PBE-GGA.

Cell lengths 5.2835, 14.6870, 14.6423 Å; angles 90.00, 110.65, 90.00 degrees
Space group P2_1/c (No. 14)
One atom of each set of equivalent atoms:
Cs 0.0000 0.0000 0.0000 [2 per cell]
Cs 0.0579 0.0685 0.3101 [4 per cell]
Cs 0.2434 0.7204 0.9929 [4 per cell]
As 0.4838 0.1807 0.7241 [4 per cell]
Se 0.0233 0.6669 0.6991 [4 per cell]
Se 0.3451 0.0751 0.5917 [4 per cell]
Se 0.4113 0.1689 0.1535 [4 per cell]

Output
For the formation energy from raw total energies, the calculation gives -80.2 kJ per mole of atoms. As for the total energy: -3.483 eV/atom. The total magnetic moment is 0.0 μB per formula unit.

The highest total magnetic moment belongs to which entry? Sm6TlFe2

Number 3 is which compound? Cs5As2Se6

* * * * *

No. 1
Entry from Alexandria: crystalline Na2HOs at its relaxed geometry (PBE-GGA).

Electronic total energy ... -2.75 eV per atom
Space group ... Fm-3m, No. 225

The structure in POSCAR format:
```
Na2HOs
1.0
0.000 3.473 3.473
3.473 0.000 3.473
3.473 3.473 0.000
Na Os H
2 1 1
Direct
0.250 0.250 0.250 Na
0.750 0.750 0.750 Na
0.500 0.500 0.500 Os
0.000 0.000 0.000 H
```

No. 2
Entry from Alexandria: crystalline Na3H7Os at its relaxed geometry (PBE-GGA).

Electronic total energy ... -3.78 eV per atom
Space group ... Cm, No. 8

The structure in POSCAR format:
```
Na3H7Os
1.0
-4.670 2.372 1.589
-2.794 -2.277 -4.119
-4.489 -2.878 0.869
Na H Os
3 7 1
Direct
0.711 0.210 0.535 Na
0.445 0.445 0.065 Na
0.210 0.711 0.535 Na
0.184 0.184 0.023 H
0.692 0.115 0.145 H
0.028 0.280 0.649 H
0.115 0.692 0.145 H
0.738 0.738 0.472 H
0.280 0.028 0.649 H
0.752 0.752 0.013 H
0.969 0.969 0.017 Os
```

No. 3
Entry from Alexandria: crystalline NaH2Os at its relaxed geometry (PBE-GGA).

Electronic total energy ... -4.41 eV per atom
Space group ... I-42d, No. 122

The structure in POSCAR format:
```
NaH2Os
1.0
5.030 0.000 0.000
0.000 5.030 0.000
2.515 2.515 3.309
Na Os H
2 2 4
Direct
0.500 0.500 0.000 Na
0.250 0.750 0.500 Na
0.000 0.000 0.000 Os
0.750 0.250 0.500 Os
0.695 0.125 0.250 H
0.055 0.625 0.250 H
0.375 0.305 0.750 H
0.875 0.945 0.750 H
```
=====
[Wanted]
Count the lines earlier on that contain the word "angles" and give the number alone, please.
[Written answer]
3